(1)
# CsCu2F6
Theoretical XRD peak list, Cu Kα. Input: DFT lattice parameters and positions (GGA-PBE).
Neutral-atom scattering factors, no anomalous dispersion.

Cell and atoms:
```
18
Lattice="0.0000 5.1819 5.1819 5.1819 0.0000 5.1819 5.1819 5.1819 0.0000" Properties=species:S:1:pos:R:3 pbc="T T T"
Cs 1.2955 1.2955 1.2955
Cs 9.0683 9.0683 9.0683
Cu 5.1819 2.5909 2.5909
Cu 2.5909 5.1819 2.5909
Cu 2.5909 2.5909 5.1819
Cu 5.1819 5.1819 5.1819
F 3.8864 3.8864 1.9095
F 3.8864 1.9095 3.8864
F 5.8633 3.8864 3.8864
F 6.4774 6.4774 4.5005
F 6.4774 4.5005 6.4774
F 8.4542 6.4774 6.4774
F 1.9095 3.8864 3.8864
F 3.8864 5.8633 3.8864
F 3.8864 3.8864 5.8633
F 4.5005 6.4774 6.4774
F 6.4774 8.4542 6.4774
F 6.4774 6.4774 8.4542
```

Most intense lines, 2θ = 10–80°, by angle:
| 2theta | Rel. int. |
| --- | --- |
| 24.29 | 33 |
| 28.57 | 100 |
| 29.87 | 21 |
| 45.48 | 31 |
| 49.77 | 36 |
| 56.13 | 14 |
| 58.39 | 15 |
| 59.13 | 8 |
| 67.65 | 10 |
| 69.69 | 23 |



(2)
# Ba2Ca3
Theoretical XRD peak list, Cu Kα. Input: DFT lattice parameters and positions (GGA-PBE).
Neutral-atom scattering factors, no anomalous dispersion.

Cell and atoms:
```
20
Lattice="11.5298 0.0000 0.0000 0.0000 6.4155 0.0000 0.0000 0.0000 14.0894" Properties=species:S:1:pos:R:3 pbc="T T T"
Ba 1.4440 1.6006 0.4620
Ba 1.4440 4.8148 7.5067
Ba 4.3209 1.6071 7.5067
Ba 4.3209 4.8084 0.4620
Ba 7.2089 1.6071 13.6275
Ba 7.2089 4.8084 6.5828
Ba 10.0857 1.6006 6.5828
Ba 10.0857 4.8148 13.6275
Ca 0.0000 1.5893 10.5671
Ca 0.0000 4.8261 3.5224
Ca 1.8872 1.6194 4.3782
Ca 1.8872 4.7961 11.4229
Ca 3.8777 1.5883 11.4229
Ca 3.8777 4.8272 4.3782
Ca 5.7649 1.6184 3.5224
Ca 5.7649 4.7971 10.5671
Ca 7.6521 1.5883 9.7113
Ca 7.6521 4.8272 2.6666
Ca 9.6426 1.6194 2.6666
Ca 9.6426 4.7961 9.7113
```

Most intense lines, 2θ = 10–80°, by angle:
| 2theta | Rel. int. |
| --- | --- |
| 12.57 | 28 |
| 21.66 | 100 |
| 24.73 | 24 |
| 26.45 | 29 |
| 27.80 | 67 |
| 28.18 | 80 |
| 33.59 | 19 |
| 38.76 | 20 |
| 42.16 | 23 |
| 44.15 | 18 |



(3)
# K2Cd4Ag5
Theoretical XRD peak list, Cu Kα. Input: DFT lattice parameters and positions (GGA-PBE).
Neutral-atom scattering factors, no anomalous dispersion.

Cell and atoms:
```
11
Lattice="0.0000 5.1720 9.0443 3.0578 0.0000 9.0443 3.0578 5.1720 0.0000" Properties=species:S:1:pos:R:3 pbc="T T T"
K 3.0578 5.1720 2.4763
K 3.0578 5.1720 15.6124
Cd 3.0578 3.5224 6.7191
Cd 3.0578 3.5224 11.3695
Cd 3.0578 6.8216 6.7191
Cd 3.0578 6.8216 11.3695
Ag 1.5289 2.5860 0.0000
Ag 1.5289 2.5860 4.5222
Ag 1.5289 2.5860 9.0443
Ag 3.0578 5.1720 9.0443
Ag 4.5867 7.7580 13.5665
```

Most intense lines, 2θ = 10–80°, by angle:
| 2theta | Rel. int. |
| --- | --- |
| 17.14 | 77 |
| 17.55 | 77 |
| 33.33 | 83 |
| 34.06 | 29 |
| 35.44 | 100 |
| 38.98 | 36 |
| 39.62 | 85 |
| 39.87 | 53 |
| 40.17 | 55 |
| 76.09 | 28 |



(4)
# U3S3Cl
Theoretical XRD peak list, Cu Kα. Input: DFT lattice parameters and positions (GGA-PBE).
Neutral-atom scattering factors, no anomalous dispersion.

Cell and atoms:
```
7
Lattice="3.8675 0.0000 0.0000 0.0000 3.8675 0.0000 0.0000 0.0000 10.8571" Properties=species:S:1:pos:R:3 pbc="T T T"
U 0.0000 0.0000 0.0000
U 1.9338 1.9338 2.6904
U 1.9338 1.9338 8.1667
S 0.0000 0.0000 2.8016
S 0.0000 0.0000 8.0555
S 1.9338 1.9338 0.0000
Cl 1.9338 1.9338 5.4285
```

Most intense lines, 2θ = 10–80°, by angle:
| 2theta | Rel. int. |
| --- | --- |
| 24.43 | 24 |
| 28.33 | 100 |
| 32.75 | 79 |
| 33.00 | 39 |
| 46.99 | 29 |
| 47.18 | 57 |
| 55.78 | 34 |
| 56.12 | 17 |
| 58.61 | 30 |
| 78.73 | 17 |

=====

(1)
Calculated X-ray diffraction stick pattern of LiNbO for Cu Kα, from DFT lattice parameters and positions (GGA-PBE).
Lines closer than 0.1° are merged.

The 8 most intense peaks (2θ = 10–80°), in order of rising 2θ:
2θ/deg, I/Imax
13.4, 100.0
24.3, 69.4
32.3, 45.4
34.0, 39.1
41.1, 18.1
43.2, 40.3
51.6, 36.8
53.2, 22.9

Atomic structure:
abc: 2.839 13.212 4.389
angles: 90.00 90.00 90.00
Fractional coordinates of all 12 atoms:
1 Li 0.000 0.208 0.000
2 Li 0.000 0.792 0.500

Start at the top of the contents above and transcribe each line, ending with the one that has "K2Cd4Ag5".

(1)
# CsCu2F6
Theoretical XRD peak list, Cu Kα. Input: DFT lattice parameters and positions (GGA-PBE).
Neutral-atom scattering factors, no anomalous dispersion.

Cell and atoms:
```
18
Lattice="0.0000 5.1819 5.1819 5.1819 0.0000 5.1819 5.1819 5.1819 0.0000" Properties=species:S:1:pos:R:3 pbc="T T T"
Cs 1.2955 1.2955 1.2955
Cs 9.0683 9.0683 9.0683
Cu 5.1819 2.5909 2.5909
Cu 2.5909 5.1819 2.5909
Cu 2.5909 2.5909 5.1819
Cu 5.1819 5.1819 5.1819
F 3.8864 3.8864 1.9095
F 3.8864 1.9095 3.8864
F 5.8633 3.8864 3.8864
F 6.4774 6.4774 4.5005
F 6.4774 4.5005 6.4774
F 8.4542 6.4774 6.4774
F 1.9095 3.8864 3.8864
F 3.8864 5.8633 3.8864
F 3.8864 3.8864 5.8633
F 4.5005 6.4774 6.4774
F 6.4774 8.4542 6.4774
F 6.4774 6.4774 8.4542
```

Most intense lines, 2θ = 10–80°, by angle:
| 2theta | Rel. int. |
| --- | --- |
| 24.29 | 33 |
| 28.57 | 100 |
| 29.87 | 21 |
| 45.48 | 31 |
| 49.77 | 36 |
| 56.13 | 14 |
| 58.39 | 15 |
| 59.13 | 8 |
| 67.65 | 10 |
| 69.69 | 23 |



(2)
# Ba2Ca3
Theoretical XRD peak list, Cu Kα. Input: DFT lattice parameters and positions (GGA-PBE).
Neutral-atom scattering factors, no anomalous dispersion.

Cell and atoms:
```
20
Lattice="11.5298 0.0000 0.0000 0.0000 6.4155 0.0000 0.0000 0.0000 14.0894" Properties=species:S:1:pos:R:3 pbc="T T T"
Ba 1.4440 1.6006 0.4620
Ba 1.4440 4.8148 7.5067
Ba 4.3209 1.6071 7.5067
Ba 4.3209 4.8084 0.4620
Ba 7.2089 1.6071 13.6275
Ba 7.2089 4.8084 6.5828
Ba 10.0857 1.6006 6.5828
Ba 10.0857 4.8148 13.6275
Ca 0.0000 1.5893 10.5671
Ca 0.0000 4.8261 3.5224
Ca 1.8872 1.6194 4.3782
Ca 1.8872 4.7961 11.4229
Ca 3.8777 1.5883 11.4229
Ca 3.8777 4.8272 4.3782
Ca 5.7649 1.6184 3.5224
Ca 5.7649 4.7971 10.5671
Ca 7.6521 1.5883 9.7113
Ca 7.6521 4.8272 2.6666
Ca 9.6426 1.6194 2.6666
Ca 9.6426 4.7961 9.7113
```

Most intense lines, 2θ = 10–80°, by angle:
| 2theta | Rel. int. |
| --- | --- |
| 12.57 | 28 |
| 21.66 | 100 |
| 24.73 | 24 |
| 26.45 | 29 |
| 27.80 | 67 |
| 28.18 | 80 |
| 33.59 | 19 |
| 38.76 | 20 |
| 42.16 | 23 |
| 44.15 | 18 |



(3)
# K2Cd4Ag5